Member Spotlight – Dan Bokenfohr

“A Dan with a Plan” – Dan Bokenfohr

For those not old enough to remember in the 1970’s-80’s there was a TV show called “Eight is Enough’. It followed the busy lives of the Bradford family that included eight kids. Well let me introduce you to the Bokenfohr family. If they had a TV show it would have been called ‘Nine is Fine’.

“We lived on a farm in Morinville and I was the youngest and you didn’t have to look far for role models with all my older brothers and sisters” explained Dan Bokenfohr. “My siblings thought I was spoiled but I used to joke that my parents just loved me more.” One thing the family did love was sports and not just one of them…all of them. “Growing up on the farm we came from fairly modest means but didn’t go without anything important. You couldn’t do everything but everyone was involved in activities” explained the baby of the family. “My parents saw value in keeping us busy and the lessons you get out of playing sports.”

Sports, and specifically hockey, is something that came naturally to Dan. He played AAA in Spruce Grove and then moved onto the junior level. “I graduated high school and didn’t know what I wanted to do. I went to the University of Alberta. While going there full time I still played in St. Albert for five years” explained the former Saint “I started at 16 and played until my overage year.” It was along his path of hockey that he “laid down the law” about his future legal career. For the past 17 years he’s been working as a labour lawyer for McLennan Ross. Despite his background, Bokenfohr didn’t labour over the decision to join the Champions Club. “To me it’s a good cause and one I wanted to support. When you get a chance to see how sports operates you understand the cost perspective,” explained the father of three.” Fees, travel, equipment, all adds up in a hurry. Sports can become something not accessible for financial reasons. It makes me quite happy to support an organization that helps make sports available to everyone.

“A Dan with a Plan” – Dan Bokenfohr

Once he had his license in hand, he didn’t immediately start to practice law – instead he decided to continue to “practice” his hockey career. “My brother (Murray) played in Germany and he had some connections over there. I played one season in Germany and then decided to play another one”, said the forward.

“I wasn’t ready to be a lawyer but it did prepare me for my post hockey career. I had to negotiate my own contract and at the end of the first season the owner didn’t have the money for flights home. It was an introduction into the practical side of business. I learned how important employment and work related law can be. I gravitated towards that and haven’t looked back”.

These materials data were left in the piece by mistake:
........
# 1
HgI: theoretical X-ray powder pattern (Cu Ka), based on a PBE-relaxed structure.

The 12 most intense peaks (2θ = 10–90°), in order of rising 2θ:
- 18.15°, rel. 100
- 18.54°, rel. 71
- 24.66°, rel. 63
- 24.96°, rel. 89
- 25.78°, rel. 48
- 26.06°, rel. 97
- 28.14°, rel. 56
- 29.14°, rel. 41
- 29.88°, rel. 41
- 32.63°, rel. 43
- 32.82°, rel. 54
- 42.05°, rel. 66

Cell and atoms:
Cell: 6.632 8.463 11.974 Å, 90.00 90.00 90.00°
Fractional coordinates of all 16 atoms:
Hg  0.099  0.111  0.141
Hg  0.238  0.468  0.422
Hg  0.262  0.532  0.922
Hg  0.401  0.889  0.641
Hg  0.599  0.389  0.859
Hg  0.738  0.032  0.578
Hg  0.762  0.968  0.078
Hg  0.901  0.611  0.359
I  0.071  0.709  0.699
I  0.077  0.084  0.448
I  0.423  0.916  0.948
I  0.429  0.291  0.199
I  0.571  0.791  0.301
I  0.577  0.416  0.552
I  0.923  0.584  0.052
I  0.929  0.209  0.801



# 2
Pa3Ni2Ge: theoretical X-ray powder pattern (Cu Ka), based on a PBE-relaxed structure.

The 12 most intense peaks (2θ = 10–90°), in order of rising 2θ:
- 29.22°, rel. 100
- 34.69°, rel. 7
- 41.26°, rel. 44
- 42.32°, rel. 32
- 51.36°, rel. 20
- 54.98°, rel. 11
- 58.85°, rel. 15
- 60.59°, rel. 11
- 67.91°, rel. 16
- 75.95°, rel. 11
- 87.68°, rel. 10
- 88.82°, rel. 9

Cell and atoms:
Cell: 6.774 6.774 6.774 Å, 68.03 68.03 68.03°
Fractional coordinates of all 12 atoms:
Pa  0.063  0.750  0.437
Pa  0.250  0.563  0.937
Pa  0.437  0.063  0.750
Pa  0.563  0.937  0.250
Pa  0.750  0.437  0.063
Pa  0.937  0.250  0.563
Ni  0.164  0.164  0.164
Ni  0.336  0.336  0.336
Ni  0.664  0.664  0.664
Ni  0.836  0.836  0.836
Ge  0.000  0.000  0.000
Ge  0.500  0.500  0.500



# 3
Cs2PbI6Br: theoretical X-ray powder pattern (Cu Ka), based on a PBE-relaxed structure.

The 12 most intense peaks (2θ = 10–90°), in order of rising 2θ:
- 12.06°, rel. 17
- 13.40°, rel. 25
- 20.12°, rel. 23
- 24.25°, rel. 82
- 26.99°, rel. 100
- 30.14°, rel. 38
- 38.54°, rel. 37
- 40.90°, rel. 65
- 46.06°, rel. 24
- 49.69°, rel. 36
- 62.91°, rel. 15
- 71.33°, rel. 22

Cell and atoms:
Cell: 8.878 8.878 8.878 Å, 116.50 116.50 96.18°
Fractional coordinates of all 10 atoms:
Cs  0.250  0.750  0.500
Cs  0.750  0.250  0.500
Pb  0.000  0.000  0.000
I  0.232  0.232  0.464
I  0.232  0.768  0.000
I  0.266  0.266  0.000
I  0.734  0.734  0.000
I  0.768  0.232  0.000
I  0.768  0.768  0.536
Br  0.500  0.500  0.000



# 4
Dy4CdGa3: theoretical X-ray powder pattern (Cu Ka), based on a PBE-relaxed structure.

The 10 most intense peaks (2θ = 10–90°), in order of rising 2θ:
- 24.63°, rel. 12
- 27.59°, rel. 1
- 35.11°, rel. 100
- 43.35°, rel. 4
- 50.49°, rel. 18
- 56.96°, rel. 5
- 62.98°, rel. 36
- 74.20°, rel. 11
- 79.55°, rel. 2
- 84.81°, rel. 16

Cell and atoms:
Cell: 5.111 5.111 7.233 Å, 90.00 90.00 90.00°
Fractional coordinates of all 8 atoms:
Dy  0.000  0.500  0.243
Dy  0.000  0.500  0.757
Dy  0.500  0.000  0.243
Dy  0.500  0.000  0.757
Cd  0.000  0.000  0.500
Ga  0.000  0.000  0.000
Ga  0.500  0.500  0.000
Ga  0.500  0.500  0.500

* * * * *

# HfW2
........

Dan now most looks forward to being a coach and a parent for his 10 and 12 year old sons and his 14 year old daughter. They are busy with activities like hockey, ringette, basketball, fastball and a sampling of soccer, baseball and football. “Sport is a way to fit in and be part of a team. You gain confidence”, explained the soon to be 46 year old, “plus things you learn like hard work and dedication translate into other facets in your life. It is a big part of my life that I still enjoy to this day.”

=====
[1]
For PrTlTeSe, a GGA-PBE-relaxed structure gives the computed X-ray powder pattern in this record (Cu Kα (λ = 1.5418 Å)).
Neutral-atom scattering factors, no anomalous dispersion.

Main lines, low angle first (2θ from 10° to 90°):
24.1°, rel. 8.9; 27.4°, rel. 100.0; 38.0°, rel. 38.0; 40.3°, rel. 37.0; 45.5°, rel. 6.4; 49.4°, rel. 19.9; 56.6°, rel. 12.0; 62.4°, rel. 15.1; 65.6°, rel. 17.0; 71.7°, rel. 11.8

Structure:
```
data_PrTlTeSe
_chemical_formula_sum 'Pr1 Tl1 Te1 Se1'
_cell_length_a 8.3857
_cell_length_b 8.3857
_cell_length_c 8.3857
_cell_angle_alpha 30.97
_cell_angle_beta 30.97
_cell_angle_gamma 30.97
_symmetry_space_group_name_H-M 'P 1'
_symmetry_Int_Tables_number 1
loop_
_symmetry_equiv_pos_as_xyz
'x,y,z'
loop_
_atom_site_label
_atom_site_fract_x
_atom_site_fract_y
_atom_site_fract_z
Pr1 0.0000 0.0000 0.0000
Tl1 0.4928 0.4928 0.4928
Te1 0.2527 0.2527 0.2527
Se1 0.7301 0.7301 0.7301
```


[2]
For Rb2SeBr5, a GGA-PBE-relaxed structure gives the computed X-ray powder pattern in this record (Cu Kα (λ = 1.5418 Å)).
Neutral-atom scattering factors, no anomalous dispersion.

Main lines, low angle first (2θ from 10° to 90°):
14.2°, rel. 31.3; 23.7°, rel. 20.5; 28.7°, rel. 100.0; 32.2°, rel. 57.6; 35.3°, rel. 22.8; 46.2°, rel. 20.0; 48.5°, rel. 34.4; 55.3°, rel. 27.4; 59.4°, rel. 28.0; 78.4°, rel. 15.4

Structure:
```
data_Rb2SeBr5
_chemical_formula_sum 'Rb2 Se1 Br5'
_cell_length_a 7.5331
_cell_length_b 7.5331
_cell_length_c 7.5331
_cell_angle_alpha 117.09
_cell_angle_beta 117.09
_cell_angle_gamma 95.12
_symmetry_space_group_name_H-M 'P 1'
_symmetry_Int_Tables_number 1
loop_
_symmetry_equiv_pos_as_xyz
'x,y,z'
loop_
_atom_site_label
_atom_site_fract_x
_atom_site_fract_y
_atom_site_fract_z
Rb1 0.0000 0.5000 0.5000
Rb2 0.5000 0.0000 0.5000
Se1 0.2543 0.2543 0.0000
Br1 0.0104 0.0104 0.5324
Br2 0.0104 0.4780 0.0000
Br3 0.4780 0.0104 0.0000
Br4 0.4780 0.4780 0.4676
Br5 0.5353 0.5353 0.0000
```

----------

No. 1
Simulated powder diffraction line list
Compound: YMg6Co
Radiation: a wavelength of 1.5418 Å
Structure: a cell relaxed with GGA-PBE

The 10 most intense peaks (2θ = 15–90°), by intensity:
- 2θ 37.8, rel. 100.0
- 2θ 36.6, rel. 78.2
- 2θ 16.2, rel. 63.6
- 2θ 32.8, rel. 45.1
- 2θ 36.8, rel. 43.6
- 2θ 50.1, rel. 26.8
- 2θ 33.2, rel. 26.4
- 2θ 24.0, rel. 21.0
- 2θ 71.8, rel. 19.5
- 2θ 69.8, rel. 17.6

Cell and atoms:
```
8
Lattice="4.8796 0.0000 0.0000 0.0000 3.1129 5.6791 0.0000 -3.1129 5.6791" Properties=species:S:1:pos:R:3 pbc="T T T"
Y 0.0000 0.0000 0.0000
Mg 0.0000 -1.6019 3.0364
Mg 0.0000 1.6019 3.0364
Mg 0.0000 0.0000 6.0276
Mg 2.4398 0.0000 4.1953
Mg 2.4398 -1.5305 7.0764
Mg 2.4398 1.5305 7.0764
Co 2.4398 0.0000 9.7311
```

=====

No. 2
Simulated powder diffraction line list
Compound: YMg6Co
Radiation: a wavelength of 1.5418 Å
Structure: a cell relaxed with GGA-PBE

The 10 most intense peaks (2θ = 15–90°), by intensity:
- 2θ 38.6, rel. 100.0
- 2θ 35.0, rel. 70.2
- 2θ 36.2, rel. 45.5
- 2θ 33.9, rel. 41.4
- 2θ 17.9, rel. 29.6
=====


What he’s also enjoying is giving back. There’s no need to judge this lawyer’s decision to become a member of the Champions Club. “It’s come full circle. I know how much of an impact it can have on children and it’s a great thing” said Bokenfohr. “For some people sports is becoming inaccessible. We have to fight that trend and make sure it happens as few times as possible. It can’t be something that only the fortunate are able to afford. To me Sport Central is an awesome program to support.”


It’s quite clear the Champions Club “appeals” to a lawyer and his $500
a year membership is Bokenfohr…Thanks Dan.